_Wanted_
Your job: work out how many lines below have the word "Th2" in them; a number is enough.

_Input_
/*
Starting from DFT lattice parameters and positions (GGA-PBE), the PXRD pattern of HfThSc14 was simulated for Cu Kα (weighted mean of Kα1 and Kα2).

Atomic structure:
```
data_HfThSc14
_chemical_formula_sum 'Hf2 Th2 Sc28'
_cell_length_a 9.261
_cell_length_b 9.274
_cell_length_c 9.177
_cell_angle_alpha 90.00
_cell_angle_beta 90.00
_cell_angle_gamma 90.00
_space_group_name_H-M_alt 'C m m m'
_space_group_IT_number 65
_space_group_name_Hall '-C 2 2'
loop_
_atom_site_label
_atom_site_fract_x
_atom_site_fract_y
_atom_site_fract_z
Hf1 0.000 0.000 0.000
Th1 0.000 0.500 0.000
Sc1 0.000 0.000 0.500
Sc2 0.000 0.246 0.247
Sc3 0.000 0.500 0.500
Sc4 0.246 0.000 0.247
Sc5 0.250 0.250 0.000
Sc6 0.250 0.250 0.500
```

Peak list (6 most intense, 2θ = 10–90°, by angle)
4.634 Å, 19.2°, intensity 17; 4.136 Å, 21.5°, intensity 27; 2.666 Å, 33.6°, intensity 100; 2.317 Å, 38.9°, intensity 33; 1.630 Å, 56.4°, intensity 21; 1.396 Å, 67.1°, intensity 24



Starting from DFT lattice parameters and positions (GGA-PBE), the PXRD pattern of HfTh2Sc4 was simulated for Cu Kα (weighted mean of Kα1 and Kα2).

Atomic structure:
```
data_HfTh2Sc4
_chemical_formula_sum 'Hf3 Th6 Sc12'
_cell_length_a 3.3711
_cell_length_b 3.3711
_cell_length_c 56.0366
_cell_angle_alpha 90.00
_cell_angle_beta 90.00
_cell_angle_gamma 120.00
_space_group_name_H-M_alt 'R 3 m'
_space_group_IT_number 160
_space_group_name_Hall 'R 3 -2"'
loop_
_atom_site_label
_atom_site_fract_x
_atom_site_fract_y
_atom_site_fract_z
Hf1 0.0000 0.0000 0.0000
Th1 0.0000 0.0000 0.8070
Th2 0.0000 0.0000 0.9066
Sc1 0.0000 0.0000 0.0904
Sc2 0.0000 0.0000 0.1914
Sc3 0.0000 0.0000 0.6226
Sc4 0.0000 0.0000 0.7104
```

Peak list (6 most intense, 2θ = 10–90°, by angle)
6.226 Å, 14.2°, intensity 76; 2.915 Å, 30.7°, intensity 82; 2.668 Å, 33.6°, intensity 40; 2.589 Å, 34.6°, intensity 100; 2.533 Å, 35.4°, intensity 92; 1.425 Å, 65.5°, intensity 34



Which formula does entry 1 have? HfThSc14

----------

Record 1
This entry pairs a crystal structure of Ba2ZnCr2CuF14 with its simulated powder diffractogram. Radiation: Cu Kα (λ = 1.5418 Å). Structure: a structure optimized by DFT (PBE+U).

Largest 10 diffraction maxima, by angle, 2θ from 10° to 90°:
3.531 Å, 25.22 deg, rel. 100
3.304 Å, 26.98 deg, rel. 23
3.231 Å, 27.61 deg, rel. 30
3.160 Å, 28.24 deg, rel. 21
2.974 Å, 30.05 deg, rel. 33
2.947 Å, 30.33 deg, rel. 26
2.232 Å, 40.41 deg, rel. 17
2.211 Å, 40.82 deg, rel. 22
1.842 Å, 49.48 deg, rel. 19
1.646 Å, 55.84 deg, rel. 21

Atomic structure:
```
Ba2ZnCr2CuF14
1.0
7.0905 -2.6571 0.0000
7.0905 2.6571 0.0000
-0.3969 0.0000 14.7302
Ba Zn Cr Cu F
4 2 4 2 28
direct
0.1131 0.2591 0.1238 Ba
0.2591 0.1131 0.6238 Ba
0.7409 0.8869 0.3762 Ba
0.8869 0.7409 0.8762 Ba
0.4320 0.5680 0.2500 Zn
0.5680 0.4320 0.7500 Zn
0.1001 0.1384 0.3736 Cr
0.1384 0.1001 0.8736 Cr
0.8616 0.8999 0.1264 Cr
0.8999 0.8616 0.6264 Cr
0.5000 0.5000 0.0000 Cu
0.5000 0.5000 0.5000 Cu
0.0315 0.6422 0.2228 F
0.0935 0.8940 0.3391 F
0.1060 0.9065 0.1609 F
0.1215 0.7157 0.5175 F
0.1305 0.5948 0.0451 F
0.1521 0.3477 0.4038 F
0.1938 0.5810 0.7107 F
0.2843 0.8785 0.9825 F
0.3477 0.1521 0.9038 F
0.3578 0.9685 0.2772 F
0.3927 0.5124 0.8780 F
0.4052 0.8695 0.4549 F
0.4190 0.8062 0.7893 F
0.4876 0.6073 0.6220 F
0.5124 0.3927 0.3780 F
0.5810 0.1938 0.2107 F
0.5948 0.1305 0.5451 F
0.6073 0.4876 0.1220 F
0.6422 0.0315 0.7228 F
0.6523 0.8479 0.0962 F
0.7157 0.1215 0.0175 F
0.8062 0.4190 0.2893 F
0.8479 0.6523 0.5962 F
0.8695 0.4052 0.9549 F
0.8785 0.2843 0.4825 F
0.8940 0.0935 0.8391 F
0.9065 0.1060 0.6609 F
0.9685 0.3578 0.7772 F
```

***

Record 2
This entry pairs a crystal structure of Li9Ni15O28 with its simulated powder diffractogram. Radiation: Cu Kα (λ = 1.5418 Å). Structure: a structure optimized by DFT (PBE+U).

Largest 10 diffraction maxima, by angle, 2θ from 10° to 90°:
4.765 Å, 18.62 deg, rel. 100
2.453 Å, 36.63 deg, rel. 13
2.422 Å, 37.12 deg, rel. 12
2.403 Å, 37.43 deg, rel. 12
2.382 Å, 37.76 deg, rel. 7
2.324 Å, 38.74 deg, rel. 12
2.055 Å, 44.06 deg, rel. 25
*/

_Worked solution_
2